'''
The following is a DFT calculation (ωB97M-V/def2-TZVPD) of 3 unconnected molecules or ions with the total composition C12H18O9 in a non-equilibrium geometry.

Structure (XYZ):
```
39
Properties=species:S:1:pos:R:3:forces:R:3
C -2.86166 -1.50342 2.43625 -0.412 -0.332 -0.896
C -4.12797 -1.01412 3.05853 0.556 0.575 0.153
C -5.37428 -1.06750 2.25892 -1.060 0.044 -1.673
O -6.14583 -2.07903 2.88289 -1.794 0.889 -2.403
C -5.61966 -2.42072 4.02545 -4.638 -4.593 1.664
O -6.23864 -3.24765 4.73965 2.902 2.887 -1.373
O -4.47117 -1.89262 4.10706 3.685 0.973 3.473
H -2.81326 -1.00995 1.46556 0.587 0.236 0.009
H -3.00072 -2.55940 2.20458 0.313 -0.167 0.155
H -1.98652 -1.32815 3.06196 -0.093 -0.031 -0.172
H -3.99426 0.02554 3.35741 0.102 -0.176 0.862
H -5.21311 -1.32374 1.21179 0.007 -0.227 -0.018
H -5.91438 -0.12073 2.25602 -0.143 -0.058 0.208
C 0.30255 -2.14406 -0.35247 1.308 2.105 0.319
C 0.81954 -1.09396 0.63819 0.763 0.959 1.271
C 2.36838 -0.95658 0.89298 -3.168 -6.042 0.236
O 2.59886 0.32727 1.06333 2.097 3.087 0.617
C 1.57600 1.04854 0.62238 0.290 3.347 -1.199
O 1.54416 2.25924 0.51946 0.324 -1.759 0.549
O 0.65798 0.25936 0.15924 -2.838 -0.961 -1.063
H 0.88207 -1.88826 -1.23950 -0.142 -0.414 -0.443
H -0.73493 -1.88365 -0.56209 -0.080 -0.817 0.129
H 0.59152 -3.14287 -0.02539 -0.644 0.003 -0.002
H 0.35580 -1.10632 1.62454 -0.573 -0.281 -0.093
H 2.64457 -1.54521 0.01815 1.893 0.810 -0.243
H 2.51715 -1.51461 1.81740 0.812 -0.069 -0.181
C 2.73366 0.95212 -3.62007 -0.998 -1.112 1.666
C 2.62349 2.30371 -2.96293 1.215 -1.489 -0.560
C 3.96163 2.70859 -2.39554 -1.130 -1.716 1.855
O 4.06911 3.94634 -2.90296 2.579 3.386 0.021
C 3.37685 4.03013 -4.03117 3.487 4.401 -2.383
O 3.59225 4.76397 -4.95751 0.459 0.739 0.566
O 2.49405 3.18052 -4.06752 -5.429 -3.694 0.160
H 3.32505 0.30888 -2.96846 -0.221 -0.303 0.315
H 3.27675 0.89226 -4.56324 -0.495 0.627 -0.119
H 1.70445 0.59320 -3.61960 0.205 -0.694 -0.817
H 1.90133 2.46253 -2.16209 -0.692 -0.235 -0.642
H 4.74527 2.00480 -2.67608 0.377 0.265 -0.079
H 3.83390 2.77553 -1.31512 0.591 -0.161 0.127
```
Forces are in eV/Å.

Strongest force on any atom   0.13274 hartree/bohr
E_HOMO   -10.4 eV
Frontier orbital gap   10.4606 eV
Molar mass   306.27 g/mol
Electronic energy   -1145.15316 Eh
Energy relative to the best compared isomer or geometry (same formula, charge and spin)   316.94 kJ/mol
E_LUMO   0.05 eV
Net charge   0
Structure (SMILES)   C[C@H]1COC(=O)O1.C[C@H]1COC(=O)O1.C[C@H]1COC(=O)O1

The following is a DFT calculation (ωB97M-V/def2-TZVPD) of 3 unconnected molecules or ions with the total composition C12H18O9 in a non-equilibrium geometry.

Structure (XYZ):
```
39
Properties=species:S:1:pos:R:3:forces:R:3
C -0.44552 3.38608 5.69886 -0.586 0.321 0.220
C 0.00188 3.20459 4.27093 0.220 0.491 -1.172
C 1.46010 3.59729 3.86874 -0.151 0.713 0.839
O 1.92548 2.45774 3.16115 0.958 0.840 -1.158
C 0.93620 1.59454 2.93897 0.317 -2.061 1.964
O 0.98534 0.55302 2.34763 0.258 1.075 -0.614
O -0.03441 1.84336 3.82316 -1.429 0.117 0.356
H 0.12801 2.77330 6.39086 0.066 0.156 0.069
H -1.51371 3.22329 5.86499 0.052 -0.888 -0.463
H -0.47286 4.43888 5.99391 0.988 0.095 -0.136
H -0.67024 3.70515 3.57061 -0.144 0.379 0.331
H 2.11762 3.87486 4.69628 0.012 -0.932 0.342
H 1.55733 4.50972 3.27708 -0.563 -0.300 -0.597
C 0.33774 -1.96544 -0.33458 -0.373 -0.978 -1.634
C 0.21029 -2.25158 1.12623 0.973 0.011 -0.980
C -1.15660 -1.83880 1.73089 2.575 0.177 1.060
O -1.50639 -3.00381 2.48821 -0.795 0.313 0.109
C -0.63720 -4.00945 2.28776 -0.368 -0.801 -0.960
O -0.74343 -5.11728 2.72105 -0.020 0.453 0.400
O 0.29805 -3.65025 1.40264 -0.030 -0.327 -0.107
H 1.26746 -2.33451 -0.77494 0.337 0.279 0.486
H 0.24834 -0.90527 -0.56878 -0.060 0.012 0.133
H -0.37807 -2.54667 -0.92961 -0.482 0.356 0.191
H 1.18591 -1.89693 1.47076 -0.804 0.820 1.227
H -1.85833 -1.50251 0.97273 -0.350 -0.520 0.114
H -0.91757 -1.04878 2.44138 -0.592 0.219 -0.065
C -0.06081 -2.11347 -5.94730 1.079 0.287 0.133
C 0.31909 -0.69870 -5.54775 -1.444 0.710 -0.250
'''

Quote every line further up that contains the word "def2-TZVPD".

The following is a DFT calculation (ωB97M-V/def2-TZVPD) of 3 unconnected molecules or ions with the total composition C12H18O9 in a non-equilibrium geometry.
The following is a DFT calculation (ωB97M-V/def2-TZVPD) of 3 unconnected molecules or ions with the total composition C12H18O9 in a non-equilibrium geometry.